**Listing:**
'''
The following is a theoretical powder XRD pattern of Al3ZnPt2. It was derived from a structure optimized by DFT (PBE), using CuKα.
Lines closer than 0.1° are merged.

Top 10 peaks for 10 to 90 degrees two-theta, sorted by position:
| two_theta | I_rel | (hkl) |
| --- | --- | --- |
| 24.77 | 64.7 | 1 1 0 |
| 26.97 | 93.9 | 0 2 1 |
| 29.30 | 65.2 | 1 1 1 |
| 31.09 | 38.9 | 0 0 2 |
| 40.15 | 95.2 | 1 1 2 |
| 43.42 | 100.0 | 1 3 1 |
| 45.19 | 34.9 | 2 0 0 |
| 52.84 | 30.7 | 0 2 3 |
| 53.42 | 29.8 | 2 2 1 |
| 72.02 | 29.5 | 2 2 3 |

Atomic structure:
```
data_Al3ZnPt2
_chemical_formula_sum 'Al6 Zn2 Pt4'
_symmetry_space_group_name_H-M 'P 1'
_symmetry_Int_Tables_number 1
_symmetry_space_group_name_Hall 'P 1'
_cell_length_a 4.0126
_cell_length_b 8.0793
_cell_length_c 5.7536
_cell_angle_alpha 90.00
_cell_angle_beta 90.00
_cell_angle_gamma 90.00
loop_
_atom_site_label
_atom_site_type_symbol
_atom_site_fract_x
_atom_site_fract_y
_atom_site_fract_z
Al1 Al 0.0000 0.0853 0.0000
Al2 Al 0.0000 0.2959 0.3907
Al3 Al 0.0000 0.7041 0.8907
Al4 Al 0.0000 0.9147 0.5000
Al5 Al 0.5000 0.2154 0.7149
Al6 Al 0.5000 0.7846 0.2149
Zn1 Zn 0.5000 0.4192 0.1251
Zn2 Zn 0.5000 0.5808 0.6251
Pt1 Pt 0.0000 0.3894 0.8106
Pt2 Pt 0.0000 0.6106 0.3106
Pt3 Pt 0.5000 0.0941 0.3124
Pt4 Pt 0.5000 0.9059 0.8124
```

~~~~~

The following is a theoretical powder diffractogram of Y2Pb2O7. It was derived from a cell relaxed with PBE, using λ = 1.5418 Å (Cu Kα).
Neutral-atom scattering factors, no anomalous dispersion.

Atomic structure:
Cell lengths 10.7867, 10.7867, 10.7867 Å; angles 90.00, 90.00, 90.00 degrees
Space group Fd-3m (No. 227, origin choice 2)
Unique sites:
Y  0.0000  0.0000  0.0000 x16
Pb  0.0000  0.0000  0.5000 x16
O  0.0989  0.3750  0.8750 x48
O  0.1250  0.1250  0.1250 x8

Largest 12 diffraction maxima, low angle first, 2θ = 10–80°:
- hkl 1 1 1, 2θ = 14.22°, d = 6.228 Å, I = 17
- hkl 3 1 1, 2θ = 27.42°, d = 3.252 Å, I = 16
- hkl 2 2 2, 2θ = 28.67°, d = 3.114 Å, I = 100
- hkl 4 0 0, 2θ = 33.22°, d = 2.697 Å, I = 34
- hkl 3 3 3, 2θ = 43.60°, d = 2.076 Å, I = 5
- hkl 4 4 0, 2θ = 47.69°, d = 1.907 Å, I = 50
- hkl 5 3 1, 2θ = 50.03°, d = 1.823 Å, I = 5
- hkl 6 2 2, 2θ = 56.60°, d = 1.626 Å, I = 45
- hkl 4 4 4, 2θ = 59.36°, d = 1.557 Å, I = 10
- hkl 8 0 0, 2θ = 69.75°, d = 1.348 Å, I = 8
- hkl 6 6 2, 2θ = 77.08°, d = 1.237 Å, I = 19
- hkl 8 4 0, 2θ = 79.47°, d = 1.206 Å, I = 14

The following is a theoretical powder diffractogram of Tb7Y16Sc6. It was derived from a cell relaxed with PBE, using λ = 1.5418 Å (Cu Kα).
Neutral-atom scattering factors, no anomalous dispersion.

Atomic structure:
Cell lengths 15.3417, 15.3417, 15.3417 Å; angles 90.00, 90.00, 90.00 degrees
Space group Fm-3m (No. 225)
Unique sites:
Tb  0.0000  0.0000  0.0000 x4
Tb  0.0000  0.2500  0.2500 x24
Y  0.1120  0.1120  0.3880 x32
Y  0.1473  0.1473  0.1473 x32
Sc  0.0000  0.0000  0.2241 x24

Largest 12 diffraction maxima, low angle first, 2θ = 10–80°:
- hkl 2 2 2, 2θ = 20.05°, d = 4.429 Å, I = 25
- hkl 3 3 1, 2θ = 25.30°, d = 3.520 Å, I = 7
- hkl 5 1 1, 2θ = 30.27°, d = 2.953 Å, I = 18
- hkl 4 4 0, 2θ = 33.03°, d = 2.712 Å, I = 100
- hkl 6 2 2, 2θ = 38.94°, d = 2.313 Å, I = 17
- hkl 5 5 3, 2θ = 45.41°, d = 1.997 Å, I = 6
- hkl 8 0 0, 2θ = 47.41°, d = 1.918 Å, I = 14
- hkl 6 6 2, 2θ = 51.96°, d = 1.760 Å, I = 6
- hkl 8 4 4, 2θ = 58.99°, d = 1.566 Å, I = 24
- hkl 9 5 1, 2θ = 62.64°, d = 1.483 Å, I = 9
- hkl 6 6 6, 2θ = 62.96°, d = 1.476 Å, I = 6
- hkl 10 6 2, 2θ = 72.96°, d = 1.297 Å, I = 8

Q: Number 1 is which compound?
A: Y2Pb2O7

~~~~~

Diffraction record for Ac2Zn4Ga. The X-ray powder pattern is simulated, not measured: it uses a cell relaxed with PBE and a wavelength of 1.5418 Å.

Cell lengths 6.1800, 6.2426, 8.8656 Å; angles 90.00, 105.81, 90.00 degrees
Atoms (fractional coordinates):
Ac: 0.1289 0.2500 0.4030
Ac: 0.2578 0.7500 0.0183
Ac: 0.7422 0.2500 0.9817
Ac: 0.8711 0.7500 0.5970
Zn: 0.2827 0.2500 0.0894
Zn: 0.3126 0.7500 0.4049
Zn: 0.4181 0.5358 0.6952
Zn: 0.4181 0.9642 0.6952
'''

**To do:**
What is needed: restate the block further up exactly.

**Written answer:**
The following is a theoretical powder XRD pattern of Al3ZnPt2. It was derived from a structure optimized by DFT (PBE), using CuKα.
Lines closer than 0.1° are merged.

Top 10 peaks for 10 to 90 degrees two-theta, sorted by position:
| two_theta | I_rel | (hkl) |
| --- | --- | --- |
| 24.77 | 64.7 | 1 1 0 |
| 26.97 | 93.9 | 0 2 1 |
| 29.30 | 65.2 | 1 1 1 |
| 31.09 | 38.9 | 0 0 2 |
| 40.15 | 95.2 | 1 1 2 |
| 43.42 | 100.0 | 1 3 1 |
| 45.19 | 34.9 | 2 0 0 |
| 52.84 | 30.7 | 0 2 3 |
| 53.42 | 29.8 | 2 2 1 |
| 72.02 | 29.5 | 2 2 3 |

Atomic structure:
```
data_Al3ZnPt2
_chemical_formula_sum 'Al6 Zn2 Pt4'
_symmetry_space_group_name_H-M 'P 1'
_symmetry_Int_Tables_number 1
_symmetry_space_group_name_Hall 'P 1'
_cell_length_a 4.0126
_cell_length_b 8.0793
_cell_length_c 5.7536
_cell_angle_alpha 90.00
_cell_angle_beta 90.00
_cell_angle_gamma 90.00
loop_
_atom_site_label
_atom_site_type_symbol
_atom_site_fract_x
_atom_site_fract_y
_atom_site_fract_z
Al1 Al 0.0000 0.0853 0.0000
Al2 Al 0.0000 0.2959 0.3907
Al3 Al 0.0000 0.7041 0.8907
Al4 Al 0.0000 0.9147 0.5000
Al5 Al 0.5000 0.2154 0.7149
Al6 Al 0.5000 0.7846 0.2149
Zn1 Zn 0.5000 0.4192 0.1251
Zn2 Zn 0.5000 0.5808 0.6251
Pt1 Pt 0.0000 0.3894 0.8106
Pt2 Pt 0.0000 0.6106 0.3106
Pt3 Pt 0.5000 0.0941 0.3124
Pt4 Pt 0.5000 0.9059 0.8124
```

~~~~~

The following is a theoretical powder diffractogram of Y2Pb2O7. It was derived from a cell relaxed with PBE, using λ = 1.5418 Å (Cu Kα).
Neutral-atom scattering factors, no anomalous dispersion.

Atomic structure:
Cell lengths 10.7867, 10.7867, 10.7867 Å; angles 90.00, 90.00, 90.00 degrees
Space group Fd-3m (No. 227, origin choice 2)
Unique sites:
Y  0.0000  0.0000  0.0000 x16
Pb  0.0000  0.0000  0.5000 x16
O  0.0989  0.3750  0.8750 x48
O  0.1250  0.1250  0.1250 x8

Largest 12 diffraction maxima, low angle first, 2θ = 10–80°:
- hkl 1 1 1, 2θ = 14.22°, d = 6.228 Å, I = 17
- hkl 3 1 1, 2θ = 27.42°, d = 3.252 Å, I = 16
- hkl 2 2 2, 2θ = 28.67°, d = 3.114 Å, I = 100
- hkl 4 0 0, 2θ = 33.22°, d = 2.697 Å, I = 34
- hkl 3 3 3, 2θ = 43.60°, d = 2.076 Å, I = 5
- hkl 4 4 0, 2θ = 47.69°, d = 1.907 Å, I = 50
- hkl 5 3 1, 2θ = 50.03°, d = 1.823 Å, I = 5
- hkl 6 2 2, 2θ = 56.60°, d = 1.626 Å, I = 45
- hkl 4 4 4, 2θ = 59.36°, d = 1.557 Å, I = 10
- hkl 8 0 0, 2θ = 69.75°, d = 1.348 Å, I = 8
- hkl 6 6 2, 2θ = 77.08°, d = 1.237 Å, I = 19
- hkl 8 4 0, 2θ = 79.47°, d = 1.206 Å, I = 14

The following is a theoretical powder diffractogram of Tb7Y16Sc6. It was derived from a cell relaxed with PBE, using λ = 1.5418 Å (Cu Kα).
Neutral-atom scattering factors, no anomalous dispersion.

Atomic structure:
Cell lengths 15.3417, 15.3417, 15.3417 Å; angles 90.00, 90.00, 90.00 degrees
Space group Fm-3m (No. 225)
Unique sites:
Tb  0.0000  0.0000  0.0000 x4
Tb  0.0000  0.2500  0.2500 x24
Y  0.1120  0.1120  0.3880 x32
Y  0.1473  0.1473  0.1473 x32
Sc  0.0000  0.0000  0.2241 x24

Largest 12 diffraction maxima, low angle first, 2θ = 10–80°:
- hkl 2 2 2, 2θ = 20.05°, d = 4.429 Å, I = 25
- hkl 3 3 1, 2θ = 25.30°, d = 3.520 Å, I = 7
- hkl 5 1 1, 2θ = 30.27°, d = 2.953 Å, I = 18
- hkl 4 4 0, 2θ = 33.03°, d = 2.712 Å, I = 100
- hkl 6 2 2, 2θ = 38.94°, d = 2.313 Å, I = 17
- hkl 5 5 3, 2θ = 45.41°, d = 1.997 Å, I = 6
- hkl 8 0 0, 2θ = 47.41°, d = 1.918 Å, I = 14
- hkl 6 6 2, 2θ = 51.96°, d = 1.760 Å, I = 6
- hkl 8 4 4, 2θ = 58.99°, d = 1.566 Å, I = 24
- hkl 9 5 1, 2θ = 62.64°, d = 1.483 Å, I = 9
- hkl 6 6 6, 2θ = 62.96°, d = 1.476 Å, I = 6
- hkl 10 6 2, 2θ = 72.96°, d = 1.297 Å, I = 8

Q: Number 1 is which compound?
A: Y2Pb2O7

~~~~~

Diffraction record for Ac2Zn4Ga. The X-ray powder pattern is simulated, not measured: it uses a cell relaxed with PBE and a wavelength of 1.5418 Å.

Cell lengths 6.1800, 6.2426, 8.8656 Å; angles 90.00, 105.81, 90.00 degrees
Atoms (fractional coordinates):
Ac: 0.1289 0.2500 0.4030
Ac: 0.2578 0.7500 0.0183
Ac: 0.7422 0.2500 0.9817
Ac: 0.8711 0.7500 0.5970
Zn: 0.2827 0.2500 0.0894
Zn: 0.3126 0.7500 0.4049
Zn: 0.4181 0.5358 0.6952
Zn: 0.4181 0.9642 0.6952